
Kelly O'Connell

Kelly O'Connell is an author and attorney. He was born on the West Coast, raised in Las Vegas, and matriculated from the University of Oregon. After laboring for the Reformed Church in Galway, Ireland, he returned to America and attended law school in Virginia, where he earned a JD and a Master’s degree in Government. He spent a stint working as a researcher and writer of academic articles at a Miami law school, focusing on ancient law and society. He has also been employed as a university Speech & Debate professor. He then returned West and worked as an assistant district attorney. Kelly is now is a private practitioner with a small law practice in New Mexico.

Most Recent Articles by Kelly O'Connell:

Liberals Want to Kill God to Destroy Sin & Cancel Judgment

Liberals Want to Kill God to Destroy Sin & Cancel Judgment

American Sabotage: Since every Biden policy is failed, it's obvious the purpose of Joe's administration is American sabotage. What liberals have to gain from sabotage is pulling the US out of our established position as leader of the free world and forcing us into world Utopia.

Underwriting Terrorists: To not simply abandon Afghanistan, but to scuttle billions in weapons, to reject military agreements and to even evacuate unknown Afghani's while ignoring Americans was shocking. But Biden had to make his point – America is not special and cannot be counted on by allies for even the simplest aid. And now we must watch Ukraine get pummeled using outdated weapons, or none at all, while remembering how we abandoned $80 billion in advanced arms for Muslim radicals is sickening.

- Monday, February 28, 2022

Does Vlad Putin Believe He is the Orthodox Messiah?

Does Vlad Putin Believe He is the Orthodox Messiah?

Apocalypse Kiev: In biblical religions there are essential elements of prophetic and messianic symbolism involving past and future events tied into the important apocalyptic events. This is true of Judaism, Catholicism, Eastern Orthodox, Protestant and Muslim beliefs. Vlad Putin, after gaining ultimate power, supposedly had a Christian religious experience causing him now to wear a crucifix. But leftism, with its humanist conceit, is still prone to savior delusions. For example, British father of socialism, atheist industrialist Robert Owens, founded the socialist Utopia of New Harmony, Indiana – then came to believe he was the necessary messiah:

- Sunday, February 27, 2022

Ukraine Dreams: Is Putin's Russian Madness a Chapter From Soros or Nietzsche?

Ukraine Dreams: Is Putin's Russian Madness a Chapter From Soros or Nietzsche?

Messianic Mess: The Messianic character is not unknown in Russian culture, as illustrated by Leo Tolstoy, one of history's great authors, of War & Peace, etc. Paul Johnson described Tolstoy as "God's elder brother." But Vlad Putin, world's wealthiest kleptocrat may have passed beyond this territory into George Soros illusions of salvation.  Is Vlad crazy? Even the Intelligencer asks: "Is Putin Sane?"

- Saturday, February 26, 2022

Canadian Truck Protests Are About Govt Vaporizing Rights & Freedoms

Canadian Truck Protests Are About Govt Vaporizing Rights & Freedoms
“There is a certain enthusiasm in liberty that makes human nature rise above itself, in acts of bravery and heroism.” - Alexander Hamilton

Covid Rebellion: Ottawa drops the test, as their Police Chief resigns, while truckers retreat. Yet, 400 trucks are parked around the city, even as bridges are cleared. Meanwhile, the COVID crisis’ worst elements have always been an odd combo of lazy, intellectually insipid govt claiming every decision is like scripture, yet constantly rule-changing.

- Wednesday, February 16, 2022

America’s Death of Love & Love of Death

America’s Death of Love & Love of Death

American Freefall: America is in free fall, but why? It's not enough to simply blame everything on leftists who certainly lead the attack against our heritage and institutions. But what exactly is most to blame? Is it possible that once the West separated marriage and sex that it was inevitable the culture would collapse, all down hill from there? Yes, because the discipline of sexual continence was foundational to a regulated life. Even according to Freud, the sex-drive of a healthy society is sublimated in work for the development of the culture.This is called Sublimation. No healthy society can reject it. Is this why Americans prefer pets over people?

- Wednesday, February 9, 2022

What You See in DC is the Disaster Occuring When Far Leftists Get Full Power

What You See in DC is the Disaster Occuring When Far Leftists Get Full Power

History contains the names of many ambitious leaders who promised paradise if trusted with power. But since earth contains no paradise, by definition, these charlatans inevitably disappoint. Calamity normally comes before their downfall. So, what's happening now in DC is that Joe Biden has fallen on hard times and is now just a husk of a man, maneuvered as a puppet.

- Tuesday, January 25, 2022

Angry Grampa POTUS -- Joe Biden at His Most Memorable

Angry Grampa POTUS -- Joe Biden at His Most Memorable

At Joe Biden's recent press conference he summed up what he claims is a very successful first year. But not even the most liberal Network seems to agree with this. Yet Joe was certainly at his finest when he got angry and loud. But then again this is always true of Uncle Joe. It's now foreseeable he has a very lucrative opportunity when he leaves office which at the current rate of  degeneration should be in the next month or two. Now, if Robert De Niro is up for the challenge, a new edition to the venerable 'Dirty Grandpa' film series is available. Of course this will be Angry Grandpa, and Robert De Niro, being the arch liberal, will certainly give all the support he can to Angry Grampa Joe.

- Monday, January 24, 2022

Dr. Martin Luther King's Eternal Convictions All Americans Must Embrace

Dr. Martin Luther King's Eternal Convictions All Americans Must Embrace

Dr. Martin Luther King, Jr. well deserves his own day and popular immortality in America. But what about MLK's famous dream? While much has been gained in US race relations, current social relations have again devolved into race riots, violence and conflagrations. And entire groups are allowed to cry havoc and release the dogs of war with impunity, "fighting racism". 

Why? What has happened? As everyone knows, 'race' is now an exclusive liberal commodity, sold as the one universal truth. And like a humanist, godless theocracy, all must be examined and pass the test, bowing the knee -- or be banished. Race baiters, like Barack Obama and Joe Biden rode high as a woke generation demands blood for past sins and current accusations. But what would Martin say? The following are sourced MLKJr Quotes on various topics:

- Tuesday, January 18, 2022

Joe Biden & the Basic Laws of Human Stupidity

Joe Biden & the Basic Laws of Human Stupidity

Stupid is as Stupid Does:

[Quantum chemistry results from another source follow]
ORCA calculation (ωB97M-V/def2-TZVPD) on a cluster of 10 separate species, C40H110N10O10 in total in a non-equilibrium geometry.

As for the net charge: 0. Its structure (SMILES) is COC[C@H](C)N.COC[C@H](C)N.COC[C@H](C)N.COC[C@H](C)N.COC[C@H](C)N.COC[C@H](C)N.COC[C@H](C)N.COC[C@H](C)N.COC[C@H](C)N.COC[C@H](C)N. Its energy above the lowest of the compared OMol25 structures with the same formula, charge and spin is 719.7 kJ/mol. As for the total energy: -78628.308 eV.

```
170
Properties=species:S:1:pos:R:3:forces:R:3
C 0.02185 7.99551 2.88527 1.74 0.31 -0.19
O -0.03961 8.43545 1.52948 -1.89 -1.12 0.70
C -1.38314 8.86119 1.19499 1.83 0.64 -1.28
C -1.27284 10.37141 1.29290 -1.20 0.99 -1.43
C -2.47183 10.99304 0.64561 -1.37 0.01 -0.36
N -0.15192 10.98334 0.49749 0.37 -0.43 1.63
H 0.83146 8.55272 3.35661 0.10 0.22 0.17
H 0.40003 6.97326 2.87674 -0.64 -0.31 0.29
H -0.85166 8.18378 3.50947 -0.28 -0.33 -0.40
H -1.57111 8.61362 0.15025 0.41 -0.02 -0.40
H -2.23254 8.35752 1.65642 0.35 0.13 1.01
H -1.42377 10.68979 2.32438 1.41 0.10 0.28
H -3.37362 10.47916 0.97848 -0.28 -0.10 -0.12
H -2.38415 10.89427 -0.43636 -0.22 0.05 -0.09
H -2.62442 12.04372 0.89236 0.34 0.00 -0.06
H -0.02407 10.52446 -0.39311 -0.81 -0.23 -0.40
H 0.74810 10.76339 0.89959 0.15 0.08 0.64
C -5.41058 0.99636 12.19625 -1.42 0.90 1.52
O -5.05610 0.11560 11.24607 2.34 -1.59 -2.18
C -3.64593 0.22278 10.90007 -1.10 0.13 -0.54
C -3.44389 -0.09536 9.42225 -0.34 0.75 -1.03
C -4.17133 0.90301 8.42129 0.39 -1.40 0.82
N -3.83954 -1.48215 9.11850 -0.05 0.87 0.28
H -5.50559 1.99351 11.76642 -0.16 0.39 0.24
H -4.75983 1.03435 13.06985 0.40 -0.02 0.07
H -6.36472 0.61421 12.55912 -0.29 0.56 0.16
H -3.28633 1.23520 11.08394 0.00 0.13 0.27
H -3.12292 -0.49698 11.52976 0.34 0.05 0.06
H -2.38305 0.00096 9.19108 0.21 -0.03 0.21
H -4.22934 0.38664 7.46311 0.27 0.11 -0.11
H -3.60404 1.82706 8.30989 -0.24 0.03 0.09
H -5.21105 1.06414 8.70610 0.10 0.29 0.27
H -4.84076 -1.43400 9.24231 -0.50 -0.49 -0.15
H -3.52805 -1.98007 9.94018 0.07 -0.71 0.01
C 5.48520 1.17112 8.15665 0.29 -1.39 1.05
O 5.94785 -0.08798 8.77519 0.35 1.67 -0.52
C 5.42603 -1.28308 8.29977 -2.05 -0.83 0.56
C 3.91236 -1.47772 8.81484 0.68 -1.32 0.47
C 3.79509 -2.09006 10.27010 0.46 1.13 -1.09
N 3.21759 -2.37885 7.93975 0.09 -1.10 -1.16
H 4.50643 1.46694 8.53430 -0.34 -0.39 -0.24
H 5.49821 1.07180 7.07126 0.03 0.21 0.01
H 6.13052 1.96086 8.54133 0.40 -0.27 -0.37
H 5.47709 -1.50038 7.23287 -0.46 1.13 -0.77
H 6.08130 -2.11363 8.56229 -0.05 0.07 1.18
H 3.36028 -0.54710 8.68345 0.58 0.71 0.95
H 4.35180 -3.01620 10.41307 0.63 0.30 -0.33
H 2.79199 -2.42826 10.52994 -0.35 0.69 -0.13
H 4.14850 -1.28097 10.90931 -0.09 -0.44 0.59
H 2.29306 -2.59910 8.28155 -0.04 0.02 0.09
H 3.10223 -1.92519 7.04478 -0.13 -0.19 -0.29
C 10.03623 -7.26253 3.14891 -0.65 -0.67 0.10
O 9.29891 -8.05407 2.22806 -0.85 -0.10 -0.37
C 8.11629 -8.69023 2.75859 0.67 -1.44 -0.35
C 7.75097 -9.94527 1.83600 -0.48 0.17 1.43
C 6.36021 -10.65512 2.13985 1.37 0.88 -0.02

Is Joe Biden stupid? No, this is not a trick question, or an attempt to shame the mentally weak. But, given a summary of Joe's choices, can one claim that he makes good decisions? Instead, Joe has become a cipher for the far-left of his party, and seems utterly indifferent to success or failure. The GOP claims he's suffering dementia. But another possibility is suggested in Economist Carlo M. Cipolla's book , The Basic Laws of Human Stupidity -- that Joe's simply not a good decision maker.

- Monday, January 10, 2022

Babylon the Great Erupts Like Vesuvius Over America, Is Doom Inevitable?

~~~
Below is a molecular structure, C9H10I2N6O6Sn, with properties calculated with ωB97M-V with the def2-TZVPD basis set.

Properties
Maximum force   0.0070 hartree/bohr
E_HOMO   -14.4 eV
Total charge   +2
Orbital gap   7.873 eV
M   670.7 g/mol

Structure (XYZ):
```
34
C9H10I2N6O6Sn (ωB97M-V with the def2-TZVPD basis set)
Sn -0.22030 0.20041 0.03106
O -2.50309 -8.54536 -0.02682
C -1.84738 -7.66560 -0.27930
O -1.10267 -6.77494 -0.59499
C -1.04714 -5.31476 -0.22938
C -1.96331 -4.81036 0.65412
C -1.81010 -3.45237 0.89859
N -0.85991 -2.71099 0.32399
C -0.01284 -3.28083 -0.52438
C -0.05327 -4.63674 -0.85380
C 1.05429 -2.42638 -1.20850
O 1.80515 -2.98456 -1.96440
O 1.05196 -1.15158 -0.93250
H -2.74453 -5.38688 1.13155
H -2.48768 -2.95347 1.58007
H 0.65427 -5.05048 -1.56001
I -0.90973 3.41300 1.45275
C -1.31365 2.73117 3.41789
I -0.50606 0.83455 3.91779
H -2.38761 2.67876 3.53483
H -0.86883 3.44524 4.09753
N 2.20745 0.54437 1.11979
N 3.01643 1.35377 0.30835
C 2.52713 1.82299 -0.85729
N 3.31223 2.47552 -1.68928
N 1.22191 1.58657 -1.02085
N 0.57407 1.87223 -2.18871
O -0.58578 1.44260 -2.15911
O 1.07663 2.45690 -3.10725
H 2.14756 0.93854 2.05460
H 2.61189 -0.38824 1.15729
H 3.98939 1.48036 0.54477
H 4.29036 2.61598 -1.49397
H 2.92517 2.81146 -2.56080
```

Below is a molecular structure, C55H49N4OP2W at a distorted geometry, with properties calculated with ωB97M-V with the def2-TZVPD basis set.

Properties
Maximum force   0.0240 hartree/bohr
E_HOMO (spin up / spin down)   -15.0 / -15.0 eV
2S+1   3
Total charge   +3
Orbital gap (spin up / spin down)   6.512 / 5.872 eV
M   1027.8 g/mol

Structure (XYZ):
```
112
C55H49N4OP2W (ωB97M-V with the def2-TZVPD basis set)
W -0.12771 -0.28428 -0.00575
C -3.87366 -2.02747 -1.58593
C -3.43938 -3.15713 -2.24662
C -2.09068 -3.47708 -2.20816
C -1.22299 -2.65731 -1.53213
N -1.63747 -1.53619 -0.91673
C -2.94801 -1.24261 -0.93521
C 0.19708 -2.98254 -1.28817
C 0.82304 -4.13188 -1.69711
C 2.06991 -4.43037 -1.18442
C 2.62600 -3.59460 -0.23169
C 1.96556 -2.44027 0.10647
N 0.80289 -2.10862 -0.47580
C 2.42263 -1.47232 1.13686
C 3.55102 -1.65092 1.89632
C 3.93777 -0.65795 2.78712
C 3.19747 0.50212 2.84401
C 2.05856 0.60446 2.07196
N 1.64601 -0.38070 1.27078
H -4.91874 -1.74449 -1.57035
H -4.14233 -3.79194 -2.77573
H -1.71989 -4.36682 -2.70471
H -3.24796 -0.35532 -0.41956
H 0.33118 -4.81006 -2.38242
H 2.58581 -5.33540 -1.48741
H 3.55907 -3.86020 0.24707
H 4.13187 -2.56137 1.80376
H 4.82032 -0.78655 3.40691
H 3.47963 1.32468 3.49090
H 1.43688 1.48673 2.10714
C -0.85785 0.37041 3.21408
P -1.21156 -1.05147 2.13029
C -0.55753 -2.51998 2.93987
C -0.40302 -2.53546 4.32623
C 0.02783 -3.69333 4.96345
C 0.29871 -4.83891 4.22593
C 0.13235 -4.83589 2.84531
C -0.29311 -3.67837 2.20353
C -3.01129 -1.21958 2.13134
C -3.59834 -2.47079 1.94559
C -4.98313 -2.59400 1.94556
C -5.78369 -1.47143 2.12411
C -5.20162 -0.22071 2.29700
C -3.81660 -0.08896 2.29650
C -0.90667 1.58821 2.35217
C -1.23186 2.88239 2.61518
C -1.18097 3.59417 1.37041
~~~

Babylon the Great Erupts Like Vesuvius Over America, Is Doom Inevitable?

USA Slipping Downhill Fast: It's time to admit the obvious – life in America is headed downhill fast, constantly gaining speed. It's so obvious the average person will no longer debate the point. Wild spikes in crime rates, rejection of gender, porous borders, and shocking jumps in inflation. But why? What's the cause? In fact, the ever-growing mountain of liberal failure now cascades down like a viscous cauldron of lava onto dumbed-down, open-mouthed and completely shocked Americans. But can we really be surprised? For instance, Did you ever ask yourself how many Godly positions America could repudiate and not ultimately be rejected as a nation?

- Saturday, January 1, 2022

What Do Dems Gain From Ultra Liberal Fed Judges? Lawless Power!

What Do Dems Gain From Ultra Liberal Fed Judges? Lawless Power!

Why Only Lefty Judges? Again in our series of bad Biden policies ruining America, we ask, Why does Biden insist on nominating absurdly leftist federal judges? The answer is glaringly simple. The only reason is to collect a cadre of Marxist justices who will mindlessly follow the Communist Manifesto & Das Kapital over the US Constitution & Bill of Rights. It’s to throw out the Rule of Law on their way to international utopia. But is a more smug group imaginable? And if any still doubt whether Democrats regularly plant and grow Marxists, US Senator Blumenthal Delivered a Speech at Communist Party Awards in early December  2021.

- Monday, December 20, 2021

How Does Illegal Immigration Help Democrats? By Building Future Majorities

How Does Illegal Immigration Help Democrats? By Building Future Majorities

In another essay on Biden's designed failures, we ask, How Does Illegal Immigration Help Democrats? The big secret is that Democrats believe they cannot win unless they have outside help in the form of instant new, illegal Democrats. The following is a summary by 5 points.

- Sunday, December 19, 2021

Leftist Demon of Inflation: Why Democrats Want Rising Prices

Leftist Demon of Inflation: Why Democrats Want Rising Prices

Biden Policy Series: This article on inflation is the first in a series of essays on the various ways the Biden Administration and the Democrat Party seek to finally dissolve old America via ruinous policies. But what is their motivation? Well, liberals in the US are highly influenced by Marx and socialism. And the sicker is America, the healthier is world communism. And their loyalty is to world Marxism. It's that simple.

- Wednesday, December 15, 2021

Biden Weakness Leads to Global Chaos

Biden Weakness Leads to Global Chaos

If Putin readied to invade Ukraine as China overwhelms Taiwan, would it explain why only 22% of Dems want Biden to run again? His unmitigated failures embarrass moderate Dems and ruin their chances for a dynasty. 

The single most trenchant characteristic of leftism is advocacy and implementation of catastrophic policies. Whether this disastrous habit derives from a lack of logic, historic ignorance or an instinct towards suicide is an open question.

- Tuesday, December 14, 2021

## Between two parts of the piece: molecular data
/*
Molecular formula: C28H30Cl2N4O3S2Sr
Method: DFT, the ωB97M-V functional and the def2-TZVPD basis

Results
ΔE to the lowest compared entry with this formula, charge and spin (eV): 1.022
Highest occupied orbital energy (eV): 0.0
Kohn-Sham gap (hartree): 0.14886
Net charge: -2
LUMO level (eV): 4.1

Last column: natural (NBO) charge in e.
Atoms and positions in Å:
Sr  -0.022  0.242  0.390  1.77
O  -0.239  -0.228  -2.024  -0.86
C  0.204  0.117  -3.181  0.52
C  0.136  -0.825  -4.239  -0.32
C  0.839  -0.581  -5.363  -0.21
C  1.691  0.585  -5.494  -0.33
C  1.625  1.564  -4.554  -0.18
C  0.831  1.403  -3.421  -0.24
C  0.536  2.526  -2.507  0.36
N  -0.053  2.491  -1.232  -0.55
C  0.110  3.745  -0.756  -0.07
C  0.796  4.572  -1.610  -0.14
N  0.964  3.816  -2.730  -0.52
H  -0.513  -1.765  -4.161  0.20
H  0.726  -1.229  -6.254  0.18
H  2.296  0.741  -6.378  0.18
H  2.265  2.397  -4.727  0.19
H  -0.367  3.950  0.251  0.24
H  0.968  5.649  -1.630  0.20
H  1.319  4.152  -3.614  0.40
S  3.001  0.569  0.364  -0.52
C  3.241  2.196  0.724  -0.21
C  4.367  2.818  0.064  -0.25
C  4.885  4.062  0.394  -0.30
C  4.119  4.793  1.333  -0.28
C  2.992  4.299  1.936  -0.26
C  2.481  3.022  1.657  -0.19
S  0.902  2.580  2.158  -0.60
H  4.732  2.096  -0.737  0.21
H  5.768  4.495  -0.015  0.18
H  4.439  5.809  1.558  0.17
H  2.607  4.870  2.775  0.19
Cl  2.581  -6.128  4.288  -0.04
C  1.759  -4.742  3.669  -0.15
C  1.337  -3.748  4.590  -0.20
C  0.710  -2.593  4.135  -0.15
Cl  0.215  -1.500  5.384  -0.02
C  0.481  -2.302  2.776  0.51
O  -0.250  -1.322  2.430  -0.80
C  1.050  -3.284  1.813  -0.29
C  1.004  -3.171  0.381  0.41
O  1.015  -2.067  -0.273  -0.60
C  1.537  -4.527  2.298  -0.16
H  1.517  -3.776  5.666  0.22
H  0.920  -4.137  -0.163  0.11
H  1.893  -5.322  1.658  0.21
C  -2.493  0.913  2.674  -0.45
N  -2.637  0.642  1.208  -0.47
C  -3.479  1.634  0.526  -0.42
C  -3.247  -0.735  1.115  -0.27
C  -3.205  -1.365  -0.253  -0.25
N  -2.616  -2.744  -0.126  -0.42
C  -2.158  -3.267  -1.376  -0.42
C  -3.581  -3.732  0.453  -0.42
H  -3.367  0.765  3.271  0.16
H  -2.192  1.977  2.739  0.22
H  -1.706  0.285  3.087  0.26
H  -4.454  1.774  1.048  0.15
H  -3.614  1.374  -0.517  0.21
H  -3.037  2.625  0.581  0.22
H  -4.283  -0.621  1.392  0.16
H  -2.755  -1.390  1.883  0.25
H  -2.667  -0.740  -0.952  0.24
H  -4.204  -1.499  -0.807  0.15
H  -3.041  -3.368  -2.104  0.12
H  -1.728  -4.266  -1.388  0.19
H  -1.486  -2.557  -1.811  0.25
H  -4.481  -3.729  -0.099  0.15
H  -3.863  -3.518  1.494  0.20
H  -3.121  -4.768  0.329  0.20

* * * * *

[1]
The following is a DFT calculation (the ωB97M-V functional and the def2-TZVPD basis) of a molecular structure, C20H41Br14ClGaO.

CARTESIAN COORDINATES (ANGSTROEM)
Br: -4.089573 -1.342668 -4.402143
Br: -5.536627 1.885543 2.451331
Br: -6.343641 1.583234 -4.377989
Br: -2.970366 2.630258 -7.895048
Br: 1.970371 2.763265 3.212786
Br: 3.478075 -1.468673 2.526002
Br: -0.604660 -2.855242 5.829129
Br: -5.207943 -0.048879 -9.102433
*/

Rape of Logic: Foolish Fauci Making Himself Science Actually Destroys It

Rape of Logic: Foolish Fauci Making Himself Science Actually Destroys It

Do elderly healthcare bureaucrats make salutary tyrants? Ancient virus magus Dr Fauci typically makes an # of himself daily, but recently topped his previous egocentric claims by cleverly combining Scientism with megalomania. He stated: "They're really criticizing science because I represent science. That's dangerous." But, according to Victor Davis Hanson: "Fauci Is "Like A Monarch," Has Legislative, Judicial, And Executive Power All At Once." In fact, Fauci himself has devolved into a politically correct virus becoming a self-enraptured guard dog for leftist power plays.

- Sunday, December 5, 2021

Why Feds Probably Can't Charge Kyle Rittenhouse for Murder

Why Feds Probably Can't Charge Kyle Rittenhouse for Murder

Massive Win Brings Fury: Kyle Rittenhouse won a massive acquittal on all charges in a bitter lesson for all liberal demagogues. But in a seemingly endless litany of illogical decisions based on horrific leftist beliefs, Dem House judiciary chairman Jerrold Nadler called for a DOJ review of the Kyle RittenhouseFederal murder investigation. Such knee jerk decisions are why Biden is currently drowning in 36% approval ratings, and inevitably, with such a mistake and error-riddled prosecution, only anti-America fanatics would want this ill-advised witch hunt to continue.

- Monday, November 22, 2021

New Bitter Struggle Drives Wedge Between Failing Kamala, Biden & li'l Pete Buttigieg

New Bitter Struggle Drives Wedge Between Failing Kamala, Biden & li'l Pete Buttigieg

The inevitable struggle for supremacy has arisen between the chief losers of an already doomed presidency. Who will be the next Dem presidential candidate – is probably an irrelevant point, already. But in a mad dash to the bottom, Biden has somehow bested Kamala by 10 points – 37% favorable to 27%. Yet, as Biden struggles to finish his thoughts, and while he's accused of incontinence at key moments, it's now a foregone conclusion Joe won't run again.

- Saturday, November 20, 2021

Not Beyond Reasonable Doubt: Kyle Rittenhouse Legal Analysis on Murder Charges

Not Beyond Reasonable Doubt: Kyle Rittenhouse Legal Analysis on Murder Charges

Having paid any attention to WI State's Murder Prosecution of Kyle Rittenhouse, what percent of viewers believe him guilty of first degree murder? Well, and this might come as a shock – it all depends upon your political persuasion. But, putting aside one's party, it's obvious WI State has some serious problems getting a Murder conviction on Kyle. This is why they asked that lesser charges be considered.

- Monday, November 15, 2021

Rittenhouse Prosecution Fails: Bad Facts, Gross Errors & Innocent Defendant

Rittenhouse Prosecution Fails: Bad Facts, Gross Errors & Innocent Defendant

Introduction: In an instance where reality obliterated fake news reporting from our mainstream media – MSM, Kyle Rittenhouse's prosecution has played out like a child's simple theory of right and wrong. Meanwhile, against the perverse coverage of the MSM, who always omit and mis-characterize stories they dislike, when not openly lying, the truth emerged. Kyle was always the victim in this manhunt. And it's astonishing how a crowd immediately morphed into an execution unit ready for frontier justice without a single fact proved to them, or any due process, but ready to execute a stranger on the spot.

- Sunday, November 14, 2021
